Technically, weather is a short-term event. It sounds like you're asking how the climate of a place affects its people.
The answer should be obvious with a little thought: the climate is going to affect everything from what food sources are available (crops, animals, etc.) to what traditions the community develops.
In colder climates, heat is a commodity, so people will dress warmer, likely eat more meat, and live and work together in larger families and groups to help ensure survival.
In warmer climates, water is of primary concern, so nomadic tribes will follow the water, communities will be built around water, and rituals will celebrate weather events that lead to bountiful hunts and harvests.
Weather can have various impacts on people's lives, such as affecting daily activities, health, and mood. Extreme weather events like hurricanes, floods, and heatwaves can lead to property damage, injuries, and even loss of life. Weather conditions can also influence agriculture, transportation, and economies of regions. Overall, people need to be prepared and adapt to changing weather patterns to minimize negative consequences.
NOAA plays a key role in weather prediction by collecting data from various sources, running advanced computer models, and issuing forecasts and warnings. Their data and research help improve the accuracy and timeliness of weather forecasts, which is crucial for protecting lives and property.
~~~
This record from Alexandria describes crystalline ZnCrHgF6 at its relaxed geometry. The functional is GGA+U.

Total magnetic moment: 7.6 Bohr magnetons per cell
Electronic total energy: -79.2 eV per cell

Lattice parameters (Å, degrees): 5.4303 5.4303 11.1470 90.00 90.00 120.00
Space group P-31c (No. 163)
One atom of each set of equivalent atoms:
Zn1 0.3333 0.6667 0.2500
Cr1 0.3333 0.6667 0.7500
Hg1 0.0000 0.0000 0.0000
F1 0.0163 0.3820 0.6536
~~~
Meteorology can save people's lives by providing accurate weather forecasts, warnings of severe weather events such as hurricanes or tornadoes, and real-time monitoring of dangerous weather conditions. This information is crucial for helping individuals and communities prepare and take necessary precautions to protect themselves from potential harm.
The way people dress, whether Roman or not, whether ancient or modern, cannot possibly affect the weather.
Benvolio connects weather to people's feelings by noting that hot weather can increase tensions and aggression, while cool weather can have a calming effect. He observes that people's moods can be influenced by the weather, impacting their overall temperament and interactions with others.
The 2014 flooding affected people in several ways. Many people lost their homes, their lives, and everything they owned.
by giving them weather
is the study of the effects of weather on people useful research
It can effect the people's lives by the desertlike conditions
People loose their lives and homes are destroyed.
tsunamis effect people lives by drowning them and reacting their family.
Really nicely
Inform people about the weather that we experience in our daily lives.
The Wall Street crash had an wide and far-reaching effect on people's lives. People had no money to spend, so businesses closed therefore factories closed and people lost jobs.
NOAA plays a key role in weather prediction by collecting data from various sources, running advanced computer models, and issuing forecasts and warnings. Their data and research help improve the accuracy and timeliness of weather forecasts, which is crucial for protecting lives and property.
this resulted in an improvement in the lives of early americans